letter from Mr Lintermann 5_6_08
Larry Cassis 2008-Jun-06 11:34:00
Hello All...
I am one who has (tried) to follow all the thread(s)/tangents/rants on
this "situation" since it started. It has been hard to keep up with &
certainly interesting to read/respect others varying views. Kathy W
writes & points out that an apology would be an "admission of
guilt"... well I just received this msg from Mr. Lintermann (quoted
below)... and can't hep wonder if this can be taken as a form of
"apology"? I'd like to know how many others have received this email
and what would be others interpretation.
& BTW.. I sincerely thank all those individual for their efforts and
steady calm negotiations on my/our behalf.
Respectful Regards from the coast of Maine USA
Larry C
On Jun 6, 2008, at 7:11 AM, Bernd Lintermann wrote:
> Dear Madam/ Sir,
> we sincerely regret that our Globorama project has led to
+++
1:
Mg6MnSiO8: relaxed, PBE with a Hubbard U.

## Properties
As for the crystal system: tetragonal. Its calculated volume is 10.325 Å³/atom. As for the total magnetization: 5.00 μB/f.u.

a b c (Å): 8.732 4.349 4.349
angles (deg): 90.00 90.00 90.00
Fractional coordinates of all 16 atoms:
Mg (0.500, 0.500, 0.500)
O (0.000, 0.500, 0.000)
O (0.738, 0.500, 0.500)
Mg (0.744, 0.500, 0.000)
Mg (0.744, 0.000, 0.500)
Mg (0.256, 0.500, 0.000)
O (0.742, 0.000, 0.000)
Mg (0.500, 0.000, 0.000)
O (0.000, 0.000, 0.500)
O (0.262, 0.500, 0.500)
Si (0.000, 0.500, 0.500)
O (0.500, 0.500, 0.000)
Mg (0.256, 0.000, 0.500)
O (0.500, 0.000, 0.500)
O (0.258, 0.000, 0.000)
Mn (0.000, 0.000, 0.000)

=====

2:
Mg6MnSiO8: relaxed, PBE with a Hubbard U.

## Properties
As for the crystal system: tetragonal. Its calculated volume is 10.323 Å³/atom. As for the total magnetization: 4.97 μB/f.u.

a b c (Å): 8.690 4.360 4.360
angles (deg): 90.00 90.00 90.00
Fractional coordinates of all 16 atoms:
O (0.500, 0.000, 0.500)
O (0.000, 0.000, 0.500)
Mg (0.000, 0.500, 0.500)
Mg (0.500, 0.500, 0.500)
O (0.000, 0.500, 0.000)
Mg (0.751, 0.000, 0.500)
Si (0.500, 0.000, 0.000)
O (0.750, 0.500, 0.500)
O (0.753, 0.000, 0.000)
Mg (0.249, 0.000, 0.500)
Mg (0.249, 0.500, 0.000)
Mn (0.000, 0.000, 0.000)
O (0.500, 0.500, 0.000)
O (0.247, 0.000, 0.000)
Mg (0.751, 0.500, 0.000)
O (0.250, 0.500, 0.500)

=====

1 is favored, and the nearest alternative lies 8 meV per atom above it.

=====

1:
MgMn3SnO8: relaxed, PBE with a Hubbard U.

## Properties
As for the crystal system: monoclinic. Its calculated volume is 12.227 Å³/atom. As for the total magnetization: 11.01 μB/f.u.

a b c (Å): 6.194 6.194 6.020
angles (deg): 59.70 59.71 57.26
Fractional coordinates of all 13 atoms:
Mg (0.000, 0.000, 0.000)
Mn (0.500, 0.500, 0.000)
O (0.743, 0.743, 0.288)
O (0.719, 0.719, 0.742)
Mn (0.000, 0.500, 0.500)
O (0.257, 0.257, 0.712)
O (0.281, 0.281, 0.258)
Mn (0.500, 0.000, 0.500)
O (0.730, 0.273, 0.768)
O (0.727, 0.270, 0.232)
O (0.270, 0.727, 0.232)
O (0.273, 0.730, 0.768)
Sn (0.500, 0.500, 0.500)

=====

2:
MgMn3SnO8: relaxed, PBE with a Hubbard U.

## Properties
As for the crystal system: triclinic. Its calculated volume is 12.372 Å³/atom. As for the total magnetization: 11.00 μB/f.u.

a b c (Å): 6.237 6.088 6.117
angles (deg): 60.09 58.67 58.56
Fractional coordinates of all 13 atoms:
O (0.252, 0.233, 0.314)
O (0.283, 0.748, 0.746)
O (0.257, 0.696, 0.261)
O (0.739, 0.294, 0.736)
O (0.700, 0.245, 0.251)
O (0.751, 0.756, 0.708)
Mn (0.497, 0.008, 0.500)
O (0.720, 0.756, 0.269)
Mn (0.005, 0.495, 0.504)
O (0.296, 0.235, 0.719)
Mg (0.870, 0.888, 0.863)
Mn (0.492, 0.497, 0.005)
Sn (0.501, 0.502, 0.491)

=====

3:
MgMn3SnO8: relaxed, PBE with a Hubbard U.

## Properties
As for the crystal system: monoclinic. Its calculated volume is 12.823 Å³/atom. As for the total magnetization: 11.00 μB/f.u.

a b c (Å): 6.434 6.092 6.092
angles (deg): 58.97 59.68 59.67
Fractional coordinates of all 13 atoms:
O (0.306, 0.745, 0.745)
+++
> irritations and -in part- to very impetuous reactions within the
> community. We, who were working on this project, acted on the
> assumption that we were authorized to use these works based on ?52
> of the German copyright law, which permits the non-commercial use of
> works without the expressed prior consent of the artist.
> Due to the objections the ZKM has received, the use of the images
> has been stopped immediately. Out of respect for you as artists we
> have since then not shown and will not show any of your images
> without your explicit permission.
> At this time, we are processing all the inquiries we have received
> and we will make every effort to find a feasible solution for all
> parties involved. We are currently preparing replies to all the
> artists, who have contacted us so far.
> We are happy about the constructive suggestions of Mr. Yuval Levy to
> find a sustainable solution, which hopefully serves all interests.
> It also has been suggested to initiate a joint project. We are
> currently investigating some ideas and will put them up for
> discussion in the near future. Because of the complexity of the
> issue it will take some more time. We hope that this makes the
> situation at this point more transparent for you and apologize for
> any delays.
> Sincerely,
> Bernd Lintermann
On Jun 6, 2008, at 4:33 AM, #removed# wrote:
> On 06/06/2008, at 8:31 AM, Josh wrote:
> > I tried to suggest a solution: not sending invoices but claiming an
> > apology. You could ask ZKM to put it on their site and you can put
> it
> > on the WWP site. What is 'selfish' about this suggestion?
> An apology would be an admission of guilt. ZKM will not/could not
> afford to do that as it could be taken by individuals straight to
> court for a guaranteed win. We are trying to resolve this issue for
> the entire WWP (and ZKM) without having to go that route. Please
> allow the negotiations a chance.
> Regards,
> KathyW.
[Non-text portions of this message have been removed]